**What to do**
Type out the lines further down up to the one that holds "9.7,", that line included.

**File**
{
  "formula": "C22H26B3F8NO4",
  "method": "the ωB97M-V functional and the def2-TZVPD basis",
  "smiles": "[H]/N=C(\\C)CB1OBOB(CCOCC(F)(F)C(F)(F)C(F)(F)C(F)F)O1.c1ccccc1.c1ccccc1",
  "multiplicity": 1,
  "homo_lumo_gap_ev": 9.7,
  "e_lumo_ev": 0.179,
  "species": ["O", "F", "C", "H", "H", "H", "H", "O", "H", "C", "F", "C", "C", "C", "N", "H", "H", "O", "F", "C", "F", "C", "H", "C", "C", "H", "C", "H", "H", "F", "H", "C", "H", "H", "H", "C", "C", "C", "B", "H", "F", "H", "H", "C", "H", "B", "H", "H", "O", "F", "B", "C", "C", "C", "H", "H", "H", "F", "C", "C", "C", "H", "C", "H"],
  "positions_angstrom": [[4.658859, -0.908134, -3.105364], [5.064068, 3.378855, -5.977362], [4.135947, 3.657534, -3.851178], [-5.630929, -1.580969, 3.960923], [2.813975, -1.748851, -3.096031], [3.932364, -3.198788, -1.593819], [-3.515361, -6.009121, 4.541910], [0.466259, -2.555824, 1.533107], [5.941544, 0.469862, -2.237167], [-2.630601, 3.057203, 1.136028], [7.348454, 2.287381, -5.163999], [-3.226436, -3.966599, 3.954492], [6.323052, 2.268109, -4.303511], [-5.167689, -2.551745, 4.086075], [-1.490337, -0.133846, 1.834831], [-5.006349, 3.832753, 3.423181], [-3.229685, -1.888272, 3.440903], [2.549578, -3.345302, 0.714289], [3.507570, 4.775474, -4.290019], [-3.821748, -2.723297, 3.793754], [4.454838, 3.821178, -2.541742], [-3.978822, -5.039661, 4.411875], [-0.809061, -0.539500, -0.994397], [-1.943334, -0.772417, 0.824685], [-2.767970, 4.156537, 0.298894], [0.972286, -4.723424, 1.533216], [5.420154, 3.477219, -4.682735], [-2.257337, 0.159837, 2.440480], [3.453371, 2.810993, -3.968230], [6.182453, 4.581303, -4.535970], [-3.811771, 5.993754, -0.070508], [3.476212, -1.244252, -2.381496], [-2.140034, 4.248720, -0.578117], [4.702521, -1.857436, -0.722664], [-1.339411, -2.192999, -0.660484], [-3.397379, -1.075132, 0.568005], [-5.920271, -3.626019, 4.540192], [-0.945680, -1.276267, -0.196032], [1.327266, -3.612948, 1.298489], [4.324504, 1.085229, -2.649990], [6.818000, 2.482192, -3.065176], [-2.176760, -4.096241, 3.723083], [-3.584319, -2.150851, 0.638541], [-3.438112, 2.944172, 2.260021], [-3.332988, 2.094775, 2.923370], [0.424879, -1.663087, 0.466151], [-5.911514, -5.706555, 5.060245], [-6.970401, -3.494303, 4.766904], [1.647981, -1.270652, -0.074860], [4.611478, 0.892961, -5.223382], [2.620469, -2.260978, -0.154596], [-4.379124, 3.923688, 2.545657], [5.124951, 0.403264, -2.963601], [-4.513367, 5.021615, 1.707533], [-1.893245, 2.296046, 0.917584], [2.954643, -0.341260, -2.045154], [-3.688271, -0.706918, -0.422318], [6.546117, -0.026574, -4.782237], [-5.325193, -4.869363, 4.704101], [3.777046, -2.182209, -1.214211], [5.638990, 0.861202, -4.325510], [-4.024671, -0.567608, 1.307911], [-3.707685, 5.137570, 0.583480], [-5.243974, 5.787976, 1.931952]],

**Written answer**
{
  "formula": "C22H26B3F8NO4",
  "method": "the ωB97M-V functional and the def2-TZVPD basis",
  "smiles": "[H]/N=C(\\C)CB1OBOB(CCOCC(F)(F)C(F)(F)C(F)(F)C(F)F)O1.c1ccccc1.c1ccccc1",
  "multiplicity": 1,
  "homo_lumo_gap_ev": 9.7,